A glance at Egypt: Egypt seeks to restore its role as a mediator in the Israel-Palestine conflict

By Nardine Ali (Cairo/Egypt)

Cairo has recently signalled intensifying interest in negotiations between Israel-Palestine, a potential indication of the country’s desire to restore its historic role as the broker of the 73-year old conflict.

On January 18, Egypt’s President Abdel Fatah Al Sisi headed to the Jordanian capital Amman to meet with King Abdullah II. A series of meetings were held which included the top officials of both countries, as well as European officials, a sign that the frozen peace talks between the Palestinians and Israelis might soon resume. This was preceded by a visit made by the head of the Egyptian Intelligence, Abbas Kamel, to Ramallah, where he met with the President of the Palestinian Authority Mahmoud Abbas (Abu Mazen). Abbas has called for parliamentary elections to be held on May 22 and presidential election on July 31, according to Youm7.

- - -
# Li2HfMnSe4
Simulated powder XRD pattern, a wavelength of 1.5418 Å. Input: the PBE geometry in Alexandria.

Atomic structure:
Cell: 6.676 3.821 6.783 Å, 90.00 109.29 90.00°
Fractional coordinates of all 8 atoms:
Li (0.000, 0.000, 0.000)
Li (0.500, 0.500, 0.000)
Hf (0.000, 0.500, 0.500)
Mn (0.500, 0.000, 0.500)
Se (0.242, 0.000, 0.746)
Se (0.254, 0.500, 0.265)
Se (0.746, 0.500, 0.735)
Se (0.758, 0.000, 0.254)

Principal peaks in the range 15 to 90 degrees two-theta, in order of rising 2θ:
| two_theta | Rel. int. | (hkl) |
| --- | --- | --- |
| 16.15 | 12 | 1 0 -1 |
| 27.13 | 22 | 2 0 -1 |
- - -

Prior to Sisi’s visit, the Egyptian capital hosted a quartet meeting between the foreign ministers of Egypt, France, Germany, and Jordan on January 11 to coordinate the efforts between the four countries to push forward with the Middle East peace process, according to Akhbar Elyoum.

“They [the four foreign ministers] emphasized that the resolution of the Palestinian-Israeli conflict on the basis of the two-state solution is an indispensable requirement to a comprehensive peace in the region,” the Egyptian foreign ministry said in an official statement following the meeting, ensuring an independent and viable Palestinian state based on June 4, 1967 lines and UN Security Council resolutions. This was a strong sign they would be dismissing Trump’s so-called the Deal of the Century.

The Palestinian factions are set to meet in Cairo within days, according to Palestinian sources, who underlined that the meeting will focus on the logistics of the upcoming elections and assurances of the Palestinian Authority to hold transparent, democratic election hat can unify all Palestinians behind one elected government and to be represented by democratic-elected legislative entity.

The upcoming elections, the first since 2006 and the third in 25 years, face several challenges, according to the Palestinian journalists, Rajab Al Madhoun.

In his report for the Lebanese newspaper Al Akhbar, Al Madhoun says that the first challenge is the representation of each faction, Fatah, Hamas and the Palestinian Liberation Organization (PLO), and how they will be fairly represented in the parliament. The second challenge is the transparency of the elections and judicial observation, which Hamas is skeptical of, since it submits to a special judiciary system different from the one in Ramallah and the West Bank.

Another challenge, according to Al Madhoun, is that East Jerusalem submits to the control of the Israeli occupation, which makes it quite difficult to assure the transparency of the elections, especially given that the Israeli authorities have not yet responded to the Palestinian request to let the Palestinian living in Jerusalem to vote or run for a seat in the parliament.

The Palestinian political scene is severely complicated and subject to outer powers and countries, which makes most Palestinians, civilians and politicians, anything but optimistic about the upcoming elections. They are seeing no real change on the ground, and the power will likely remain in the hands of both Fatah and Hamas with no real participation of the Palestinian people to determine their own fate. It is, however, certain that all the foreign, regional and domestic powers are determined to resume the peace talks and to stop the annexation policy of Tel Aviv that was granted to it by the Trump administration.

It is also certain that Egypt is the key to all these negotiations and the historic mediator between all parties of the Palestinian-Israeli conflict.

Egypt, Qatar to restore diplomatic ties after 3-year feud

Egypt announced on January 20 that they would resume diplomatic relations with Qatar, ending a three-year feud with the Gulf emirate.

The move follows the Al-Ula Declaration that was inked in the latest Gulf Cooperation Council (GCC) summit last month in Saudi Arabia, where the boycott quartet, Egypt. Saudi Arabia, Bahrain and UAE agreed to normalize ties with Qatar.

On January 18, the first Egyptian flight took off from Cairo to Qatar after a 3-year of closing the airspace for all Qatari flights.

“In relation to the implementation of the mutual commitments at Al-Ula statement, the Arab Republic of Egypt and the State of Qatar exchanged, today, January 20, two official memoranda, according to which the two countries agreed to resume diplomatic relations,” Egypt’s Foreign Ministry said in an official statement.

The ministry has not revealed in its statement the level of the diplomatic representation that will be restored, nor the conditions of the agreement and whether Doha will execute Egypt’s conditions that were announced at the beginning of the feud.

Egypt’s conditions were shutting down Aljazeera, Qatar’s propaganda tool, or at least toning down its critical voice against the government in Egypt, ditching the Muslim Brotherhood elements and extraditing their fugitives to be tried in Egypt, as many of them face terrorism-related charges.

Qatar will probably ditch the support of the Muslim Brotherhood, in accordance with its future agenda and its interests with the GCC and Egypt from one side, and with the new US administration from the other. Given that Biden’s administration might be interested in having a strong alliance in the Middle East to back his stance against Iran, which he wants to force back to the negotiations table.

“The emirate is now appraising its situation and where it stands from the new reconciliation with its Arab neighbor,” the political affairs expert at the German Institute for Global and Area Studies (GIGA), Hagar Ali told DW on January 23, adding that the fate of the Muslim Brotherhood in Qatar remains ambiguous and open for all options. “However, they still have the support of the Turkish President Recep Tayyip Erdoğan, whose party is ideologically connected to the brotherhood.”

“The Muslim Brotherhood key members have lost their role as acting political elements in most of Arab countries; they now move toward remaining as a political ideological movement,” Ali added.

When asked about Doha’s backing for Islamist political movements, which the quartet considers a threat to their stability, he said “we are going to support whatever the people will and whatever the people are going to seek for their countries. If they are going to seek for justice using peaceful ways to express what they think is right, Qatar will continue supporting the people.”

Weeks after the reconciliation, Qatar has proposed to broker talks between Gulf countries and Iran, saying the time is right for the neighbors to patch up their own differences.

In an interview with Bloomberg on January 19, Qatari Foreign Minister Sheikh Mohammed bin Abdulrahman Al Thani said his government was “hopeful that this would happen and we still believe this should happen.”

“This is also a desire that’s shared by other GCC countries,” he added.

The call was well received by Iran, its foreign minister Mohammad Javad Zarif declared that “Tehran is ready for dialogue with the Gulf states in response to Qatar’s or previous invitation from Kuwait.”

“We have always extended the hand of friendship to the Gulf states, because this region belongs to all its countries and ensuring its security for the benefit of everyone, and destabilizing the region’s security only serves a special group,” Zarif told Iranian TV.

The top Iranian diplomat blamed the Gulf neighbors for not starting the negotiations earlier and waiting for the end of Trump’s time in office. “The Gulf countries lost a four-year opportunity for dialogue with Iran, and now Trump is gone, and we and the Gulf states remain,” he said.

Speaking to Alarabiya, Saudi Foreign Minister Faisal bin Farhan Al Saud said he has not ruled out the intention to start talks with Iran, conditioning such a step with Iran proving they will change their approach in the region.

“Saudi Arabia has previously entered into talks with the Iranians, but they backed out their commitment,” Bin Farhan told a Saudi TV channel. “We must find real indicators to change in their approach in the region and their support to the terrorist organizations, and so far, we have not witnessed this,” the Saudi prince added.

Saudi Arabia has shown flexibility in cooperating with Biden’s administration to reform the 2015 nuclear deal signed by former president Barack Obama, to attempt to avoid the old deal’s flaws.